-- Contents --
No. 1
Computed powder X-ray diffraction pattern
Compound: CoOF
Radiation: CuKα
Structure: the GGA+U geometry in the Materials Project

Structure:
Lattice parameters (Å, degrees): 4.647 2.949 18.510 90.00 96.62 90.00
Space group Pm (No. 6)
Inequivalent atoms, fractional coordinates:
Co1 0.000 0.000 0.000
Co2 0.013 0.000 0.749
Co3 0.040 0.000 0.498
Co4 0.492 0.500 0.127
Co5 0.507 0.500 0.874
Co6 0.521 0.500 0.623
Co7 0.567 0.500 0.373
Co8 0.961 0.000 0.251
O1 0.301 0.000 0.079
O2 0.320 0.000 0.826
O3 0.333 0.000 0.575
O4 0.673 0.000 0.176
O5 0.695 0.000 0.922
O6 0.707 0.000 0.672
O7 0.755 0.000 0.423
O8 0.802 0.500 0.295
F1 0.152 0.500 0.205
F2 0.196 0.500 0.951
F3 0.210 0.500 0.701
F4 0.245 0.500 0.451
F5 0.305 0.000 0.325
F6 0.805 0.500 0.049
F7 0.818 0.500 0.798
F8 0.842 0.500 0.546

Largest 6 diffraction maxima, sorted by position, 10° ≤ 2θ ≤ 90°:
2theta  intensity  hkl
25.7  100.0  1 0 -4
29.0  82.3  1 0 4
36.2  94.3  0 1 4
52.4  28.7  2 1 -4
52.5  30.9  1 1 -8
56.1  44.3  1 1 8

=====

No. 2
Computed powder X-ray diffraction pattern
Compound: Co3OF5
Radiation: CuKα
Structure: the GGA+U geometry in the Materials Project

Structure:
Lattice parameters (Å, degrees): 4.700 5.669 7.846 87.07 88.36 88.27
Space group P-1 (No. 2)
Inequivalent atoms, fractional coordinates:
Co1 0.000 0.000 0.000
Co2 0.000 0.331 0.663
Co3 0.466 0.842 0.692
Co4 0.500 0.500 0.000
O1 0.285 0.809 0.905
F1 0.193 0.966 0.231
F2 0.195 0.631 0.568
F3 0.198 0.294 0.896
F4 0.309 0.458 0.236
F5 0.312 0.131 0.557

Largest 6 diffraction maxima, sorted by position, 10° ≤ 2θ ≤ 90°:
2theta  intensity  hkl
26.3  100.0  1 1 1
27.4  89.4  -1 1 1
34.2  55.7  0 2 -1
34.4  50.0  1 1 -2
51.7  50.1  2 0 3
52.8  28.7  2 -2 1

=====

No. 3
Computed powder X-ray diffraction pattern
Compound: Co3O4F2
Radiation: CuKα
Structure: the GGA+U geometry in the Materials Project

Structure:
Lattice parameters (Å, degrees): 4.619 5.496 7.448 84.55 86.24 83.78
Space group P1 (No. 1)
Inequivalent atoms, fractional coordinates:
Co1 0.000 0.000 0.000
Co2 0.004 0.318 0.673
Co3 0.011 0.667 0.333
Co4 0.512 0.165 0.335
Co5 0.546 0.854 0.682
Co6 0.563 0.539 0.021
O1 0.321 0.126 0.573
O2 0.324 0.804 0.905
O3 0.330 0.474 0.234
O4 0.705 0.867 0.441
O5 0.713 0.545 0.775
O6 0.717 0.215 0.105
O7 0.823 0.033 0.787
O8 0.835 0.727 0.104
F1 0.197 0.282 0.908
F2 0.197 0.621 0.564
F3 0.206 0.979 0.222
F4 0.815 0.361 0.439

Largest 6 diffraction maxima, sorted by position, 10° ≤ 2θ ≤ 90°:
2theta  intensity  hkl
25.8  100.0  1 1 1
29.2  84.0  -1 1 1
36.1  48.5  1 1 -2
36.4  45.3  0 0 3
52.3  27.9  2 2 -1
53.0  41.3  1 1 4

=====

No. 4
Computed powder X-ray diffraction pattern
Compound: Co2PO4F
Radiation: CuKα
Structure: the GGA+U geometry in the Materials Project

Structure:
Lattice parameters (Å, degrees): 13.170 6.480 9.852 90.00 119.27 90.00
Space group C2/c (No. 15)
Inequivalent atoms, fractional coordinates:
Co1 0.056 0.223 0.002
Co2 0.156 0.401 0.357
P1 0.177 0.095 0.808
O1 0.081 0.038 0.640
O2 0.133 0.284 0.863
O3 0.195 0.087 0.421
O4 0.208 0.351 0.192
F1 0.013 0.395 0.392

Largest 6 diffraction maxima, sorted by position, 10° ≤ 2θ ≤ 90°:
2theta  intensity  hkl
24.5  50.7  3 1 -1
27.7  72.0  4 0 -2
29.5  89.6  0 2 1
31.5  100.0  2 0 2
31.6  48.2  3 1 -3
43.0  27.6  1 3 -1

=====

No. 5
Computed powder X-ray diffraction pattern
Compound: CoSb2S2O4F12
Radiation: CuKα
Structure: the GGA+U geometry in the Materials Project

Structure:
Lattice parameters (Å, degrees): 5.203 8.780 15.935 93.57 97.95 91.30
Space group P-1 (No. 2)
Inequivalent atoms, fractional coordinates:
Co1 0.000 0.000 0.000
Co2 0.000 0.000 0.500
Sb1 0.469 0.235 0.381
Sb2 0.469 0.235 0.881
S1 0.000 0.286 0.149
S2 0.001 0.286 0.649
O1 0.094 0.853 0.404
O2 0.096 0.852 0.904
O3 0.252 0.346 0.139
O4 0.253 0.346 0.638
F1 0.217 0.175 0.956
F2 0.218 0.175 0.457
F3 0.264 0.404 0.349
F4 0.264 0.404 0.849
F5 0.274 0.104 0.294
F6 0.274 0.105 0.794
F7 0.278 0.726 0.191
F8 0.278 0.726 0.691
F9 0.335 0.944 0.079
F10 0.335 0.944 0.579

-- Job --
Could you type out the listing earlier on exactly?

-- Done --
No. 1
Computed powder X-ray diffraction pattern
Compound: CoOF
Radiation: CuKα
Structure: the GGA+U geometry in the Materials Project

Structure:
Lattice parameters (Å, degrees): 4.647 2.949 18.510 90.00 96.62 90.00
Space group Pm (No. 6)
Inequivalent atoms, fractional coordinates:
Co1 0.000 0.000 0.000
Co2 0.013 0.000 0.749
Co3 0.040 0.000 0.498
Co4 0.492 0.500 0.127
Co5 0.507 0.500 0.874
Co6 0.521 0.500 0.623
Co7 0.567 0.500 0.373
Co8 0.961 0.000 0.251
O1 0.301 0.000 0.079
O2 0.320 0.000 0.826
O3 0.333 0.000 0.575
O4 0.673 0.000 0.176
O5 0.695 0.000 0.922
O6 0.707 0.000 0.672
O7 0.755 0.000 0.423
O8 0.802 0.500 0.295
F1 0.152 0.500 0.205
F2 0.196 0.500 0.951
F3 0.210 0.500 0.701
F4 0.245 0.500 0.451
F5 0.305 0.000 0.325
F6 0.805 0.500 0.049
F7 0.818 0.500 0.798
F8 0.842 0.500 0.546

Largest 6 diffraction maxima, sorted by position, 10° ≤ 2θ ≤ 90°:
2theta  intensity  hkl
25.7  100.0  1 0 -4
29.0  82.3  1 0 4
36.2  94.3  0 1 4
52.4  28.7  2 1 -4
52.5  30.9  1 1 -8
56.1  44.3  1 1 8

=====

No. 2
Computed powder X-ray diffraction pattern
Compound: Co3OF5
Radiation: CuKα
Structure: the GGA+U geometry in the Materials Project

Structure:
Lattice parameters (Å, degrees): 4.700 5.669 7.846 87.07 88.36 88.27
Space group P-1 (No. 2)
Inequivalent atoms, fractional coordinates:
Co1 0.000 0.000 0.000
Co2 0.000 0.331 0.663
Co3 0.466 0.842 0.692
Co4 0.500 0.500 0.000
O1 0.285 0.809 0.905
F1 0.193 0.966 0.231
F2 0.195 0.631 0.568
F3 0.198 0.294 0.896
F4 0.309 0.458 0.236
F5 0.312 0.131 0.557

Largest 6 diffraction maxima, sorted by position, 10° ≤ 2θ ≤ 90°:
2theta  intensity  hkl
26.3  100.0  1 1 1
27.4  89.4  -1 1 1
34.2  55.7  0 2 -1
34.4  50.0  1 1 -2
51.7  50.1  2 0 3
52.8  28.7  2 -2 1

=====

No. 3
Computed powder X-ray diffraction pattern
Compound: Co3O4F2
Radiation: CuKα
Structure: the GGA+U geometry in the Materials Project

Structure:
Lattice parameters (Å, degrees): 4.619 5.496 7.448 84.55 86.24 83.78
Space group P1 (No. 1)
Inequivalent atoms, fractional coordinates:
Co1 0.000 0.000 0.000
Co2 0.004 0.318 0.673
Co3 0.011 0.667 0.333
Co4 0.512 0.165 0.335
Co5 0.546 0.854 0.682
Co6 0.563 0.539 0.021
O1 0.321 0.126 0.573
O2 0.324 0.804 0.905
O3 0.330 0.474 0.234
O4 0.705 0.867 0.441
O5 0.713 0.545 0.775
O6 0.717 0.215 0.105
O7 0.823 0.033 0.787
O8 0.835 0.727 0.104
F1 0.197 0.282 0.908
F2 0.197 0.621 0.564
F3 0.206 0.979 0.222
F4 0.815 0.361 0.439

Largest 6 diffraction maxima, sorted by position, 10° ≤ 2θ ≤ 90°:
2theta  intensity  hkl
25.8  100.0  1 1 1
29.2  84.0  -1 1 1
36.1  48.5  1 1 -2
36.4  45.3  0 0 3
52.3  27.9  2 2 -1
53.0  41.3  1 1 4

=====

No. 4
Computed powder X-ray diffraction pattern
Compound: Co2PO4F
Radiation: CuKα
Structure: the GGA+U geometry in the Materials Project

Structure:
Lattice parameters (Å, degrees): 13.170 6.480 9.852 90.00 119.27 90.00
Space group C2/c (No. 15)
Inequivalent atoms, fractional coordinates:
Co1 0.056 0.223 0.002
Co2 0.156 0.401 0.357
P1 0.177 0.095 0.808
O1 0.081 0.038 0.640
O2 0.133 0.284 0.863
O3 0.195 0.087 0.421
O4 0.208 0.351 0.192
F1 0.013 0.395 0.392

Largest 6 diffraction maxima, sorted by position, 10° ≤ 2θ ≤ 90°:
2theta  intensity  hkl
24.5  50.7  3 1 -1
27.7  72.0  4 0 -2
29.5  89.6  0 2 1
31.5  100.0  2 0 2
31.6  48.2  3 1 -3
43.0  27.6  1 3 -1

=====

No. 5
Computed powder X-ray diffraction pattern
Compound: CoSb2S2O4F12
Radiation: CuKα
Structure: the GGA+U geometry in the Materials Project

Structure:
Lattice parameters (Å, degrees): 5.203 8.780 15.935 93.57 97.95 91.30
Space group P-1 (No. 2)
Inequivalent atoms, fractional coordinates:
Co1 0.000 0.000 0.000
Co2 0.000 0.000 0.500
Sb1 0.469 0.235 0.381
Sb2 0.469 0.235 0.881
S1 0.000 0.286 0.149
S2 0.001 0.286 0.649
O1 0.094 0.853 0.404
O2 0.096 0.852 0.904
O3 0.252 0.346 0.139
O4 0.253 0.346 0.638
F1 0.217 0.175 0.956
F2 0.218 0.175 0.457
F3 0.264 0.404 0.349
F4 0.264 0.404 0.849
F5 0.274 0.104 0.294
F6 0.274 0.105 0.794
F7 0.278 0.726 0.191
F8 0.278 0.726 0.691
F9 0.335 0.944 0.079
F10 0.335 0.944 0.579